Your job: count the lines below that contain the word "scattering" and give the number alone.

+++
[1]
Structure and calculated X-ray powder pattern of Dy2Y4LuNi2Te2 (a structure optimized by DFT (PBE); a wavelength of 1.5418 Å).
Neutral-atom scattering factors, no anomalous dispersion.

Main lines, by angle (2θ = 5–70°):
28.86 deg, intensity 28; 30.31 deg, intensity 54; 32.81 deg, intensity 66; 34.02 deg, intensity 100; 34.46 deg, intensity 45; 36.50 deg, intensity 24; 38.33 deg, intensity 21; 47.28 deg, intensity 25; 51.00 deg, intensity 30; 58.72 deg, intensity 31

Cell and atoms:
Unit cell a=9.3732 b=9.3732 c=9.3732 alpha=156.33 beta=67.06 gamma=118.29
Fractional coordinates of all 11 atoms:
Dy (0.1460, 0.0000, 0.1460)
Dy (0.8540, 0.0000, 0.8540)
Y (0.1643, 0.3480, 0.8163)
Y (0.5154, 0.1464, 0.3690)
Y (0.5318, 0.3480, 0.1837)
Y (0.7774, 0.1464, 0.6310)
Lu (0.2275, 0.7275, 0.5000)
Ni (0.3919, 0.6544, 0.7375)
Ni (0.9169, 0.6544, 0.2625)
Te (0.4909, 0.4909, 0.0000)
Te (0.8932, 0.3932, 0.5000)

---

[2]
Structure and calculated X-ray powder pattern of DyY4Lu2Ni2Te2 (a structure optimized by DFT (PBE); a wavelength of 1.5418 Å).
Neutral-atom scattering factors, no anomalous dispersion.

Main lines, by angle (2θ = 5–70°):
28.95 deg, intensity 29; 30.39 deg, intensity 53; 32.96 deg, intensity 67; 34.15 deg, intensity 100; 34.61 deg, intensity 46; 36.61 deg, intensity 24; 38.46 deg, intensity 21; 47.37 deg, intensity 25; 51.24 deg, intensity 31; 58.91 deg, intensity 32

Cell and atoms:
Unit cell a=9.3263 b=9.3263 c=9.3263 alpha=156.25 beta=67.17 gamma=118.21
Fractional coordinates of all 11 atoms:
Dy (0.0000, 0.0000, 0.0000)
Y (0.2888, 0.4200, 0.8688)
Y (0.3064, 0.6213, 0.6851)
Y (0.5513, 0.4200, 0.1312)
Y (0.9362, 0.6213, 0.3149)
Lu (0.6251, 0.2721, 0.3530)
Lu (0.9191, 0.2721, 0.6470)
Ni (0.1628, 0.9263, 0.2365)
Ni (0.6897, 0.9263, 0.7635)
Te (0.2646, 0.7646, 0.5000)
Te (0.6671, 0.6671, 0.0000)

---

[3]
Structure and calculated X-ray powder pattern of Dy2Y2Lu3Ni2Te2 (a structure optimized by DFT (PBE); a wavelength of 1.5418 Å).
Neutral-atom scattering factors, no anomalous dispersion.

Main lines, by angle (2θ = 5–70°):
29.07 deg, intensity 45; 30.44 deg, intensity 55; 32.91 deg, intensity 87; 34.26 deg, intensity 100; 34.70 deg, intensity 65; 36.60 deg, intensity 37; 38.47 deg, intensity 27; 47.58 deg, intensity 31; 51.37 deg, intensity 36; 59.06 deg, intensity 33

Cell and atoms:
Unit cell a=9.3107 b=9.3107 c=9.3107 alpha=156.31 beta=67.46 gamma=117.88
Fractional coordinates of all 11 atoms:
Dy (0.1858, 0.0000, 0.1858)
Dy (0.8142, 0.0000, 0.8142)
Y (0.1684, 0.7995, 0.3689)
Y (0.4307, 0.7995, 0.6311)
Lu (0.5087, 0.6542, 0.8545)
Lu (0.7998, 0.6542, 0.1455)
Lu (0.8783, 0.3783, 0.5000)
Ni (0.0397, 0.3054, 0.7343)
Ni (0.5711, 0.3054, 0.2657)
Te (0.1418, 0.1418, 0.0000)
Te (0.5470, 0.0470, 0.5000)

---

[4]
Structure and calculated X-ray powder pattern of Dy4YLu2Ni2Te2 (a structure optimized by DFT (PBE); a wavelength of 1.5418 Å).
Neutral-atom scattering factors, no anomalous dispersion.

Main lines, by angle (2θ = 5–70°):
24.96 deg, intensity 27; 28.90 deg, intensity 20; 30.42 deg, intensity 44; 33.10 deg, intensity 85; 34.12 deg, intensity 100; 34.62 deg, intensity 88; 36.71 deg, intensity 22; 38.55 deg, intensity 23; 47.25 deg, intensity 31; 58.90 deg, intensity 33

Cell and atoms:
Unit cell a=9.3157 b=9.3157 c=9.3157 alpha=156.16 beta=66.90 gamma=118.53
Fractional coordinates of all 11 atoms:
Dy (0.1330, 0.0000, 0.1330)
Dy (0.2037, 0.8519, 0.3519)
Dy (0.5000, 0.8519, 0.6481)
Dy (0.8670, 0.0000, 0.8670)
Y (0.5829, 0.5829, 0.0000)
Lu (0.5177, 0.2027, 0.3150)
Lu (0.8877, 0.2027, 0.6850)
Ni (0.2754, 0.5128, 0.7626)
Ni (0.7503, 0.5128, 0.2374)
Te (0.2469, 0.2469, 0.0000)
Te (0.8459, 0.3459, 0.5000)

---

[5]
Structure and calculated X-ray powder pattern of Dy3Lu4Pd2S2 (a structure optimized by DFT (PBE); a wavelength of 1.5418 Å).
Neutral-atom scattering factors, no anomalous dispersion.

Main lines, by angle (2θ = 5–70°):
+++

5